**Job:**
Copy every line further down that contains the word "MnHgBr6".

**File:**
TbAl2Au3, relaxed, DFT PBE; DOS(E_F) = 6.6 states/eV/cell; excess energy over the best structure of this formula in the dataset = 0 meV per atom; energy of formation from the pure elements = -622 meV per atom
1.0
4.2411 0.0000 0.0000
-2.1205 8.0560 -2.6826
0.0000 -0.0107 10.3573
Tb Au Al
3 9 6
direct
0.8463 0.6926 0.3098
0.1537 0.3074 0.6902
0.0000 0.0000 0.0000
0.5000 0.0000 0.5000
0.3843 0.7685 0.8215
0.2223 0.4445 0.3801
0.3278 0.6555 0.0496
0.7777 0.5555 0.6199
0.6157 0.2315 0.1785
0.0407 0.0814 0.3346
0.9593 0.9186 0.6654
0.6722 0.3445 0.9504
0.7992 0.5985 0.8766
0.2008 0.4015 0.1234
0.3615 0.7231 0.5570
0.4672 0.9345 0.2257
0.5328 0.0655 0.7743
0.6385 0.2769 0.4430

=====

Record 1
Below is an optimized crystal structure of MnHgBr4, with properties calculated at the PBE-GGA level.

extended XYZ file:
```
6
Lattice="3.973 0.000 0.000 -1.986 6.959 -3.452 0.000 -0.249 7.038" Properties=species:S:1:pos:R:3 pbc="T T T"
Mn 1.986 -0.125 3.519
Hg 0.000 0.000 0.000
Br 0.000 5.350 -2.236
Br 0.000 1.437 2.533
Br 1.986 1.360 5.823
Br 1.986 5.273 1.053
```

symmetry	No. 12
energy	-19.70	eV per formula unit
excess energy over the best structure of this formula in the dataset	0	meV/atom

---

Record 2
Below is an optimized crystal structure of Mn2HgBr, with properties calculated at the PBE-GGA level.

extended XYZ file:
```
4
Lattice="-1.006 4.110 -2.631 -0.165 1.707 -4.678 -6.783 1.313 -4.331" Properties=species:S:1:pos:R:3 pbc="T T T"
Br -5.966 5.347 -8.730
Hg -1.989 1.782 -2.910
Mn -0.646 0.468 -0.815
Mn -3.331 3.097 -5.005
```

symmetry	No. 12
energy	-19.49	eV per formula unit
excess energy over the best structure of this formula in the dataset	0	meV/atom

---

Record 3
Below is an optimized crystal structure of MnHgBr6, with properties calculated at the PBE-GGA level.

extended XYZ file:
```
8
Lattice="-6.128 1.726 2.323 -4.985 -1.595 -4.472 -3.046 -6.174 0.299" Properties=species:S:1:pos:R:3 pbc="T T T"
Mn -5.556 0.065 -1.075
Hg 0.000 0.000 0.000
Br -8.745 -3.735 -0.002
Br -6.032 -0.796 1.225
Br -8.127 -5.247 -3.075
Br -5.414 -2.309 -1.849
Br -7.914 0.081 -1.557
Br -3.199 0.050 -0.592
```

symmetry	No. 12
energy	-22.80	eV per formula unit

---

Record 4
Below is an optimized crystal structure of MnHg3Br9, with properties calculated at the PBE-GGA level.

extended XYZ file:
```
26
Lattice="9.869 0.000 4.153 4.565 9.371 2.953 0.848 -0.280 11.787" Properties=species:S:1:pos:R:3 pbc="T T T"
Mn 2.796 4.780 1.907
Mn 4.692 -0.045 7.904
Hg 10.871 5.428 15.054
Hg 8.536 0.883 7.840
Hg 14.513 8.227 17.066
Hg 4.551 3.682 6.643
Hg 10.489 1.795 11.378
Hg 6.128 6.620 4.344
Br 4.090 1.385 5.708
Br 5.635 5.930 12.589
Br 4.937 2.543 13.669
Br 8.371 7.368 9.915
Br 2.744 0.425 9.248
Br 3.197 5.250 4.240
Br 11.086 6.651 6.001
Br 5.838 1.826 8.991
Br 11.503 8.373 10.160
Br 12.441 3.547 15.754
Br 9.672 7.398 14.151
Br 10.020 2.852 8.066
Br 7.368 4.462 4.397
Br 14.149 9.007 13.481
Br 11.285 4.086 11.900
Br 5.198 8.911 4.140
Br 8.851 1.078 14.236
Br 5.230 5.903 7.513
```

symmetry	No. 9
energy	-31.36	eV per formula unit

---

Record 5
Below is an optimized crystal structure of MnHg2Br4, with properties calculated at the PBE-GGA level.

extended XYZ file:
```
7
Lattice="5.897 0.000 0.000 0.000 5.897 0.000 2.949 2.949 6.534" Properties=species:S:1:pos:R:3 pbc="T T T"
Mn 0.000 0.000 0.000
Hg 5.897 5.897 5.178
Hg 2.949 2.949 1.356
Br 5.897 5.897 2.514
Br 2.949 2.949 4.021
Br 0.000 2.949 0.000
Br 2.949 0.000 0.000
```

symmetry	No. 139
energy	-18.79	eV per formula unit

---

Record 6
Below is an optimized crystal structure of Mn2HgBr, with properties calculated at the PBE-GGA level.

extended XYZ file:
```
4
Lattice="5.547 -0.005 0.011 1.487 5.344 -0.011 -2.480 -4.035 2.887" Properties=species:S:1:pos:R:3 pbc="T T T"
Br 1.262 1.989 1.438
Hg 3.292 -0.685 1.449
Mn 0.058 0.044 0.000
Mn 3.459 2.626 0.000
```

symmetry	No. 71
energy	-18.64	eV per formula unit
excess energy over the best structure of this formula in the dataset	212	meV/atom

---

Record 7

**Done:**
Below is an optimized crystal structure of MnHgBr6, with properties calculated at the PBE-GGA level.